
Jon Snow apparently knows how to do crunches ... rawr

I think her class should firmly grasp the concept of structural racism now, having been handed so blatant an example.

Psh, call me when he comes out as SINGLE. Until then ...

**Crystal structures from another source follow:**
Starting from a structure optimized by DFT (PBE), the powder diffractogram of DyAl3Ag10 was computed for Cu Kα (weighted mean of Kα1 and Kα2).

The 8 most intense peaks (2θ from 5° to 70°), sorted by position:
30.67°, d = 2.915 Å, intensity 48.4
33.68°, d = 2.661 Å, intensity 28.6
35.79°, d = 2.509 Å, intensity 100.0
39.08°, d = 2.305 Å, intensity 33.3
40.95°, d = 2.204 Å, intensity 50.5
46.19°, d = 1.966 Å, intensity 23.4
58.37°, d = 1.581 Å, intensity 15.3
60.23°, d = 1.537 Å, intensity 29.5

Cell and atoms:
Unit cell a=9.219 b=9.219 c=9.219 alpha=60.00 beta=60.00 gamma=60.00
Element x y z (fractional)
Dy: 0.250 0.250 0.250
Dy: 0.750 0.750 0.750
Al: 0.236 0.236 0.764
Al: 0.236 0.764 0.236
Al: 0.236 0.764 0.764
Al: 0.764 0.236 0.236
Al: 0.764 0.236 0.764
Al: 0.764 0.764 0.236
Ag: 0.118 0.118 0.118
Ag: 0.118 0.118 0.646
Ag: 0.118 0.646 0.118
Ag: 0.153 0.500 0.500
Ag: 0.153 0.500 0.847
Ag: 0.153 0.847 0.500
Ag: 0.354 0.882 0.882
Ag: 0.500 0.153 0.500
Ag: 0.500 0.153 0.847
Ag: 0.500 0.500 0.153
Ag: 0.500 0.500 0.847
Ag: 0.500 0.847 0.153
Ag: 0.500 0.847 0.500
Ag: 0.646 0.118 0.118
Ag: 0.847 0.153 0.500
Ag: 0.847 0.500 0.153
Ag: 0.847 0.500 0.500
Ag: 0.882 0.354 0.882
Ag: 0.882 0.882 0.354
Ag: 0.882 0.882 0.882

My emphatic agreement with this post cannot be overstated.

Next to the entry, the page also holds crystal structures:
____________
# 1
This entry pairs a crystal structure of Sc4InPt7 with its computed X-ray powder pattern. Radiation: Cu Kα (λ = 1.5418 Å). Structure: a DFT-relaxed cell (PBE, Alexandria).
Intensities are scaled so that the largest is 100.

Structure:
Cell: 6.0337 6.0337 9.8611 Å, 118.48 118.48 48.85°
Fractional coordinates of all 12 atoms:
1 Sc 0.0910 0.0910 0.2773
2 Sc 0.2601 0.2601 0.8477
3 Sc 0.7399 0.7399 0.1523
4 Sc 0.9090 0.9090 0.7227
5 In 0.5000 0.5000 0.5000
6 Pt 0.0000 0.0000 0.5000
7 Pt 0.1360 0.1360 0.0325
8 Pt 0.2861 0.2861 0.5984
9 Pt 0.4250 0.4250 0.1798
10 Pt 0.5750 0.5750 0.8202
11 Pt 0.7139 0.7139 0.4016
12 Pt 0.8640 0.8640 0.9675

Principal peaks in the range 2θ = 10–80°, sorted by position:
2θ = 25.45°, d = 3.500 Å, I = 100; 2θ = 33.96°, d = 2.640 Å, I = 50; 2θ = 34.78°, d = 2.579 Å, I = 20; 2θ = 36.00°, d = 2.495 Å, I = 65; 2θ = 36.59°, d = 2.456 Å, I = 29; 2θ = 40.02°, d = 2.253 Å, I = 65; 2θ = 41.35°, d = 2.183 Å, I = 21; 2θ = 42.30°, d = 2.137 Å, I = 19; 2θ = 42.90°, d = 2.108 Å, I = 19; 2θ = 45.65°, d = 1.987 Å, I = 40; 2θ = 50.32°, d = 1.813 Å, I = 34; 2θ = 52.26°, d = 1.750 Å, I = 22



# 2
This entry pairs a crystal structure of Sc2In3Pt with its computed X-ray powder pattern. Radiation: Cu Kα (λ = 1.5418 Å). Structure: a DFT-relaxed cell (PBE, Alexandria).
Intensities are scaled so that the largest is 100.

Structure:
Cell: 3.3344 4.7861 8.1819 Å, 90.00 90.00 90.00°
Fractional coordinates of all 6 atoms:
1 Sc 0.0000 0.0000 0.0000
2 Sc 0.0000 0.5000 0.4408
3 In 0.5000 0.0000 0.6141
4 In 0.5000 0.5000 0.1341
5 In 0.5000 0.5000 0.7917
6 Pt 0.5000 0.0000 0.2857

Principal peaks in the range 2θ = 10–80°, sorted by position:
2θ = 10.81°, d = 8.182 Å, I = 27; 2θ = 21.51°, d = 4.131 Å, I = 41; 2θ = 21.72°, d = 4.091 Å, I = 22; 2θ = 26.74°, d = 3.334 Å, I = 69; 2θ = 34.57°, d = 2.595 Å, I = 90; 2θ = 34.71°, d = 2.585 Å, I = 47; 2θ = 37.59°, d = 2.393 Å, I = 55; 2θ = 37.97°, d = 2.370 Å, I = 100; 2θ = 46.72°, d = 1.944 Å, I = 31; 2θ = 47.05°, d = 1.932 Å, I = 63; 2θ = 52.08°, d = 1.756 Å, I = 29; 2θ = 68.86°, d = 1.364 Å, I = 40



# 3
This entry pairs a crystal structure of ScInPt6 with its computed X-ray powder pattern. Radiation: Cu Kα (λ = 1.5418 Å). Structure: a DFT-relaxed cell (PBE, Alexandria).
Intensities are scaled so that the largest is 100.

Structure:
Cell: 4.0303 4.0303 8.0529 Å, 90.00 90.00 90.00°
Fractional coordinates of all 8 atoms:
1 Sc 0.0000 0.0000 0.0000
2 In 0.0000 0.0000 0.5000
3 Pt 0.0000 0.5000 0.2453
4 Pt 0.0000 0.5000 0.7547
____________

I can't follow anything said on this thread because I am lost in his eyes.

You, sir, are a visionary. Godspeed in your mission and best wishes for its resounding success.

"But if that's the case then why does she need this idiot's help picking the witches off? Why can't she murder them using voodoo and leave the assassin — who is as interesting as unseasoned mashed potatoes even when we know he's a murderer — completely out of it?"

Oh, whatever my steely reserve cannot be pierced by webcomicky nonsense.



I really want to be a fly on the wall in these pitch meetings to see this "creative" process unfold. Seriously, what moron is dumb/clueless/insensitive/oblivious/ignorant enough to pitch this, and yet still finds a room full of equally ignorant people to approve it?!

I protest Nan receiving demerits for saving cute helpless boys and thereby GOING AFTER HERS even in the midst of a Zombie Swarm. Gettin' It Despite Revenants (whatever I know that doesn't work, I tried!!)

Maybe he was trolling the professor in a paper on appropriation by, as a white man, committing an act of appropriation of the work of a gay man and a woman of color! Because, like, it's like totally meta!!! Kidding. Give this boy an A ... in utterly failing as a student and a human being ...

That .gif is awesome. It makes me sad that my work now blocks uploading reaction gifs because I have an "I literally love you" one with your name on it.


Quote the Raven: Gimme more!

I have zero eye for fashion and never would have pegged any of their clothes as belonging to particular designers and high end brands. Particularly as a lot of them are just kind of...meh. What justifies those prices?!

I've given up on rational minds prevailing on the gun control debate. From now on whenever it comes up, I'm going to just go look at pictures of puppies on the interwebs.

Why is she trying to blind that poor puppy with its own ears?!

Calculated crystals from another source follow:
=====
This entry pairs a crystal structure of K3CdAu3 with its theoretical powder X-ray diffraction pattern. Radiation: λ = 1.5418 Å (Cu Kα). Structure: a PBE-relaxed structure.
Lines closer than 0.1° are merged.

Peak list (10 most intense, 2θ = 10–80°, sorted by position)
hkl 2 0 -1, 14.5 deg, I = 44; hkl 1 1 -1, 20.1 deg, I = 100; hkl 2 0 2, 22.9 deg, I = 27; hkl 1 1 3, 28.8 deg, I = 87; hkl 3 1 1, 32.4 deg, I = 34; hkl 4 0 1, 34.3 deg, I = 25; hkl 3 1 -5, 35.7 deg, I = 59; hkl 0 2 0, 37.4 deg, I = 40; hkl 5 1 0, 44.1 deg, I = 37; hkl 1 1 -7, 44.2 deg, I = 28

Structure:
```
data_K3CdAu3
_symmetry_space_group_name_H-M 'C 1 2/m 1'
_symmetry_Int_Tables_number 12
_symmetry_space_group_name_Hall '-C 2y'
_cell_length_a 12.2435
_cell_length_b 4.8059
_cell_length_c 16.1934
_cell_angle_alpha 90.00
_cell_angle_beta 111.91
_cell_angle_gamma 90.00
loop_
_atom_site_label
_atom_site_fract_x
_atom_site_fract_y
_atom_site_fract_z
K1 0.0208 0.0000 0.2708
K2 0.1407 0.5000 0.1249
K3 0.1790 0.0000 0.5754
Cd1 0.1716 0.5000 0.9130
Au1 0.0279 0.5000 0.4209
Au2 0.0835 0.0000 0.9602
Au3 0.1841 0.5000 0.7375
```



This entry pairs a crystal structure of K3CdAu4 with its theoretical powder X-ray diffraction pattern. Radiation: λ = 1.5418 Å (Cu Kα). Structure: a PBE-relaxed structure.
Lines closer than 0.1° are merged.

Peak list (10 most intense, 2θ = 10–80°, sorted by position)
hkl 0 0 1, 12.7 deg, I = 36; hkl 1 1 0, 15.4 deg, I = 67; hkl 2 0 -1, 17.8 deg, I = 100; hkl 2 0 -2, 22.1 deg, I = 20; hkl 1 1 -2, 23.9 deg, I = 18; hkl 3 1 -1, 29.7 deg, I = 34; hkl 2 2 -2, 31.2 deg, I = 50; hkl 1 3 0, 34.8 deg, I = 19; hkl 1 3 1, 39.5 deg, I = 81; hkl 2 0 2, 42.8 deg, I = 18

Structure:
```
data_K3CdAu4
_symmetry_space_group_name_H-M 'C 1 2 1'
_symmetry_Int_Tables_number 5
_symmetry_space_group_name_Hall 'C 2y'
_cell_length_a 9.9552
_cell_length_b 8.1437
_cell_length_c 8.5132
_cell_angle_alpha 90.00
_cell_angle_beta 125.17
_cell_angle_gamma 90.00
loop_
_atom_site_label
_atom_site_fract_x
_atom_site_fract_y
_atom_site_fract_z
K1 0.0000 0.0000 0.0000
K2 0.2367 0.4996 0.2844
Cd1 0.0000 0.5005 0.5000
Au1 0.1316 0.3249 0.8351
Au2 0.1318 0.6753 0.8356
```



This entry pairs a crystal structure of K3Cd2Au7 with its theoretical powder X-ray diffraction pattern. Radiation: λ = 1.5418 Å (Cu Kα). Structure: a PBE-relaxed structure.
Lines closer than 0.1° are merged.

Peak list (10 most intense, 2θ = 10–80°, sorted by position)
hkl 1 0 1, 17.6 deg, I = 100; hkl 0 0 6, 18.8 deg, I = 39; hkl 0 2 1, 35.2 deg, I = 39; hkl 2 0 2, 35.7 deg, I = 29; hkl 1 1 6, 35.9 deg, I = 94; hkl 0 0 12, 38.2 deg, I = 42; hkl 2 0 5, 38.6 deg, I = 79; hkl 0 2 7, 41.8 deg, I = 57; hkl 2 2 0, 62.9 deg, I = 33; hkl 2 2 12, 76.1 deg, I = 35

Structure:
```
data_K3Cd2Au7
_symmetry_space_group_name_H-M 'R -3 m'
_symmetry_Int_Tables_number 166
_symmetry_space_group_name_Hall '-R 3 2"'
_cell_length_a 5.9075
_cell_length_b 5.9075
_cell_length_c 28.2753
_cell_angle_alpha 90.00
_cell_angle_beta 90.00
=====

It's remarkable that one of the miscreants forwarded this email to Jezebel as if under the belief that everyone sympathize with THEM.

But wait, she awesomely swam across the freakin' Straits of Florida in mighty Poseidon's domain! Shouldn't she be a Nereid (nymphs of the sea) as a opposed to a Naiad (nymphs of the rivers)?